What to do >
Retype the whole of the data further below exactly.
File >
........
Entry 1:
Density functional theory data (ωB97M-V with the def2-TZVPD basis set) for a structure of composition C15H26ClIN2O2PPb.

The largest force on an atom comes out at 0.0782 Eh/bohr. The lowest unoccupied orbital energy (alpha / beta) comes out at -0.45073 / -0.48524 Eh. The total energy comes out at -58182.2963 eV. For the HOMO-LUMO gap (alpha / beta), the calculation gives 5.6 / 4.3 eV.

Geometry as ORCA input:
```
! RIJCOSX wB97M-V def2-TZVPD def2/J DEFGRID3
* xyz 3 1
C 0.121 -4.862 -3.119
I 1.195 -3.224 -2.190
H -0.960 -4.816 -2.932
H 0.552 -5.780 -2.707
H 0.341 -4.787 -4.190
Pb -0.431 -0.946 -0.317
P -0.123 1.441 -1.963
C 1.369 1.828 -2.931
C -1.252 0.950 -3.345
H -1.736 2.988 -1.038
H -0.938 3.677 -2.499
H -0.073 3.632 -0.928
C -0.785 3.104 -1.574
H -2.265 0.788 -2.947
H -1.259 1.758 -4.092
H 1.107 2.492 -3.763
H 1.799 0.900 -3.323
H -0.892 0.019 -3.807
H 2.098 2.320 -2.280
C 2.279 -0.291 -0.520
O 3.403 -0.407 -0.360
Cl -2.575 0.406 -0.278
C 2.338 1.563 7.797
C 0.863 1.271 8.012
N 0.217 0.470 6.944
C 0.290 -0.998 7.109
C -1.047 -1.646 7.443
C 0.115 1.069 5.707
O 0.551 2.210 5.511
C -0.552 0.278 4.603
C -1.808 -0.322 4.788
C -2.242 -1.236 3.833
C -1.468 -1.416 2.677
N -0.434 -0.621 2.380
C 0.045 0.204 3.328
H 2.893 0.627 7.671
H 2.735 2.102 8.667
H 2.455 2.206 6.921
H 0.711 0.682 8.924
H 0.314 2.218 8.068
H 0.713 -1.433 6.184
H 1.015 -1.158 7.926
H -1.450 -2.169 6.570
H -0.907 -2.389 8.236
H -1.774 -0.895 7.772
H -2.378 -0.092 5.694
H -3.134 -1.841 3.958
H -1.693 -2.201 1.939
H 0.949 0.772 3.084
*
```

Löwdin population analysis, charges in e, atoms 1 to 2: atom 1 (C): -0.439, atom 2 (I): 0.811


Entry 2:
Density functional theory data (ωB97M-V with the def2-TZVPD basis set) for a structure of composition C40H33ClN4O7PRbSSe2.

The largest force on an atom comes out at 0.0205 Eh/bohr. The lowest unoccupied orbital energy comes out at 0.13561 Eh. The value obtained for the energy above the lowest of the compared OMol25 structures with the same formula, charge and spin is 0.5638 eV. The total energy comes out at -226310.3920 eV. For the HOMO-LUMO gap, the calculation gives 6.5 eV.

Geometry as ORCA input:
```
! RIJCOSX wB97M-V def2-TZVPD def2/J DEFGRID3
* xyz -2 1
Rb -0.797 -0.869 -0.850
Se 3.374 -0.001 2.992
P 1.783 1.417 3.314
Se 0.151 1.568 1.939
C 1.095 1.135 5.002
C 1.954 1.177 6.102
C 1.468 0.986 7.386
C 0.112 0.731 7.588
C -0.742 0.670 6.498
C -0.254 0.876 5.208
C 2.510 3.096 3.555
C 1.697 4.132 4.016
C 2.201 5.417 4.157
C 3.525 5.690 3.824
C 4.337 4.665 3.361
C 3.833 3.372 3.234
H 3.013 1.347 5.936
H 2.144 1.027 8.233
H -0.271 0.578 8.592
H -1.797 0.464 6.643
H -0.915 0.840 4.347
H 0.656 3.930 4.246
H 1.557 6.212 4.516
H 3.917 6.697 3.922
H 5.370 4.868 3.099
H 4.462 2.552 2.897
O -5.507 2.364 -2.670
C -4.617 3.262 -3.032
O -4.912 4.252 -3.676
C -3.196 2.985 -2.661
C -2.103 3.646 -3.177
Cl -2.003 4.984 -4.239
N -0.985 3.087 -2.659
N -1.292 2.091 -1.801
C -2.611 2.028 -1.780
C -3.270 0.982 -0.889
O -4.416 0.598 -1.278
O -2.623 0.589 0.088
C 0.406 3.401 -2.824
C 1.178 3.523 -1.678
C 2.537 3.772 -1.806
C 3.115 3.886 -3.064
C 2.332 3.744 -4.202
C 0.970 3.494 -4.087
H -5.076 1.604 -2.099
H 0.719 3.382 -0.705
H 3.148 3.845 -0.916
H 4.181 4.061 -3.152
H 2.782 3.803 -5.188
H 0.357 3.351 -4.965
O -0.849 -4.422 -2.396
C -0.051 -3.464 -2.394
O -0.164 -2.331 -2.934
C 1.237 -3.700 -1.588
C 1.901 -4.922 -1.677
C 3.075 -5.098 -0.969
C 3.539 -4.068 -0.157
C 2.792 -2.903 -0.091
N 1.673 -2.713 -0.800
H 1.468 -5.699 -2.292
H 3.622 -6.032 -1.038
H 4.448 -4.161 0.425
H 3.087 -2.081 0.562
C -0.336 -4.479 2.042
C 0.510 -3.429 2.770
C -0.506 -2.336 3.067
O -1.489 -2.417 2.021
C -1.295 -3.602 1.249
H -0.885 -5.095 2.760
H 0.247 -5.137 1.394
H 1.287 -3.038 2.116
H 0.993 -3.802 3.674
H -0.073 -1.340 3.056
H -1.003 -2.493 4.028
H -0.851 -3.351 0.284
H -2.264 -4.055 1.055
S 3.551 -0.044 -4.046
C 2.060 -0.299 -3.177
N 2.052 0.087 -1.949
C 3.292 0.618 -1.596
C 3.604 1.084 -0.316
C 4.865 1.601 -0.098
C 5.810 1.663 -1.136
C 5.513 1.188 -2.401
........
Solution >
Entry 1:
Density functional theory data (ωB97M-V with the def2-TZVPD basis set) for a structure of composition C15H26ClIN2O2PPb.

The largest force on an atom comes out at 0.0782 Eh/bohr. The lowest unoccupied orbital energy (alpha / beta) comes out at -0.45073 / -0.48524 Eh. The total energy comes out at -58182.2963 eV. For the HOMO-LUMO gap (alpha / beta), the calculation gives 5.6 / 4.3 eV.

Geometry as ORCA input:
```
! RIJCOSX wB97M-V def2-TZVPD def2/J DEFGRID3
* xyz 3 1
C 0.121 -4.862 -3.119
I 1.195 -3.224 -2.190
H -0.960 -4.816 -2.932
H 0.552 -5.780 -2.707
H 0.341 -4.787 -4.190
Pb -0.431 -0.946 -0.317
P -0.123 1.441 -1.963
C 1.369 1.828 -2.931
C -1.252 0.950 -3.345
H -1.736 2.988 -1.038
H -0.938 3.677 -2.499
H -0.073 3.632 -0.928
C -0.785 3.104 -1.574
H -2.265 0.788 -2.947
H -1.259 1.758 -4.092
H 1.107 2.492 -3.763
H 1.799 0.900 -3.323
H -0.892 0.019 -3.807
H 2.098 2.320 -2.280
C 2.279 -0.291 -0.520
O 3.403 -0.407 -0.360
Cl -2.575 0.406 -0.278
C 2.338 1.563 7.797
C 0.863 1.271 8.012
N 0.217 0.470 6.944
C 0.290 -0.998 7.109
C -1.047 -1.646 7.443
C 0.115 1.069 5.707
O 0.551 2.210 5.511
C -0.552 0.278 4.603
C -1.808 -0.322 4.788
C -2.242 -1.236 3.833
C -1.468 -1.416 2.677
N -0.434 -0.621 2.380
C 0.045 0.204 3.328
H 2.893 0.627 7.671
H 2.735 2.102 8.667
H 2.455 2.206 6.921
H 0.711 0.682 8.924
H 0.314 2.218 8.068
H 0.713 -1.433 6.184
H 1.015 -1.158 7.926
H -1.450 -2.169 6.570
H -0.907 -2.389 8.236
H -1.774 -0.895 7.772
H -2.378 -0.092 5.694
H -3.134 -1.841 3.958
H -1.693 -2.201 1.939
H 0.949 0.772 3.084
*
```

Löwdin population analysis, charges in e, atoms 1 to 2: atom 1 (C): -0.439, atom 2 (I): 0.811


Entry 2:
Density functional theory data (ωB97M-V with the def2-TZVPD basis set) for a structure of composition C40H33ClN4O7PRbSSe2.

The largest force on an atom comes out at 0.0205 Eh/bohr. The lowest unoccupied orbital energy comes out at 0.13561 Eh. The value obtained for the energy above the lowest of the compared OMol25 structures with the same formula, charge and spin is 0.5638 eV. The total energy comes out at -226310.3920 eV. For the HOMO-LUMO gap, the calculation gives 6.5 eV.

Geometry as ORCA input:
```
! RIJCOSX wB97M-V def2-TZVPD def2/J DEFGRID3
* xyz -2 1
Rb -0.797 -0.869 -0.850
Se 3.374 -0.001 2.992
P 1.783 1.417 3.314
Se 0.151 1.568 1.939
C 1.095 1.135 5.002
C 1.954 1.177 6.102
C 1.468 0.986 7.386
C 0.112 0.731 7.588
C -0.742 0.670 6.498
C -0.254 0.876 5.208
C 2.510 3.096 3.555
C 1.697 4.132 4.016
C 2.201 5.417 4.157
C 3.525 5.690 3.824
C 4.337 4.665 3.361
C 3.833 3.372 3.234
H 3.013 1.347 5.936
H 2.144 1.027 8.233
H -0.271 0.578 8.592
H -1.797 0.464 6.643
H -0.915 0.840 4.347
H 0.656 3.930 4.246
H 1.557 6.212 4.516
H 3.917 6.697 3.922
H 5.370 4.868 3.099
H 4.462 2.552 2.897
O -5.507 2.364 -2.670
C -4.617 3.262 -3.032
O -4.912 4.252 -3.676
C -3.196 2.985 -2.661
C -2.103 3.646 -3.177
Cl -2.003 4.984 -4.239
N -0.985 3.087 -2.659
N -1.292 2.091 -1.801
C -2.611 2.028 -1.780
C -3.270 0.982 -0.889
O -4.416 0.598 -1.278
O -2.623 0.589 0.088
C 0.406 3.401 -2.824
C 1.178 3.523 -1.678
C 2.537 3.772 -1.806
C 3.115 3.886 -3.064
C 2.332 3.744 -4.202
C 0.970 3.494 -4.087
H -5.076 1.604 -2.099
H 0.719 3.382 -0.705
H 3.148 3.845 -0.916
H 4.181 4.061 -3.152
H 2.782 3.803 -5.188
H 0.357 3.351 -4.965
O -0.849 -4.422 -2.396
C -0.051 -3.464 -2.394
O -0.164 -2.331 -2.934
C 1.237 -3.700 -1.588
C 1.901 -4.922 -1.677
C 3.075 -5.098 -0.969
C 3.539 -4.068 -0.157
C 2.792 -2.903 -0.091
N 1.673 -2.713 -0.800
H 1.468 -5.699 -2.292
H 3.622 -6.032 -1.038
H 4.448 -4.161 0.425
H 3.087 -2.081 0.562
C -0.336 -4.479 2.042
C 0.510 -3.429 2.770
C -0.506 -2.336 3.067
O -1.489 -2.417 2.021
C -1.295 -3.602 1.249
H -0.885 -5.095 2.760
H 0.247 -5.137 1.394
H 1.287 -3.038 2.116
H 0.993 -3.802 3.674
H -0.073 -1.340 3.056
H -1.003 -2.493 4.028
H -0.851 -3.351 0.284
H -2.264 -4.055 1.055
S 3.551 -0.044 -4.046
C 2.060 -0.299 -3.177
N 2.052 0.087 -1.949
C 3.292 0.618 -1.596
C 3.604 1.084 -0.316
C 4.865 1.601 -0.098
C 5.810 1.663 -1.136
C 5.513 1.188 -2.401